(Given)
'''
Entry 1:
96
Properties=species:S:1:pos:R:3 method="wB97M-V/def2-TZVPD" energy_ha=-1843.5617
Rb -0.123 0.078 0.066
C 3.216 3.129 0.705
C 1.993 3.352 1.587
N 1.137 2.182 1.750
C 1.379 1.391 2.954
C 2.597 0.470 2.905
N 2.660 -0.317 1.684
C 3.479 -1.524 1.776
C 4.025 -1.997 0.430
C 3.015 -2.415 -0.638
N 2.220 -1.323 -1.209
C 2.985 -0.428 -2.075
C 3.466 0.838 -1.384
N 2.417 1.851 -1.312
C 2.944 3.116 -0.797
H 3.728 2.213 1.004
H 3.915 3.948 0.899
H 1.393 4.155 1.145
H 2.322 3.718 2.571
H 0.170 2.489 1.777
H 0.481 0.793 3.120
H 1.487 2.038 3.840
H 2.546 -0.158 3.809
H 3.523 1.052 2.989
H 1.727 -0.603 1.423
H 2.927 -2.344 2.260
H 4.328 -1.299 2.427
H 4.653 -2.873 0.626
H 4.700 -1.240 0.022
H 2.312 -3.136 -0.221
H 3.570 -2.935 -1.435
H 1.466 -1.733 -1.749
H 2.352 -0.146 -2.925
H 3.850 -0.954 -2.507
H 4.355 1.223 -1.914
H 3.763 0.595 -0.366
H 2.086 2.012 -2.258
H 2.226 3.910 -1.030
H 3.879 3.375 -1.320
C -1.664 3.253 -0.360
C -2.401 4.506 -0.901
N -2.721 4.330 -2.317
C -3.555 3.139 -2.470
C -2.794 1.887 -1.963
N -1.476 2.270 -1.437
C -0.708 2.910 -2.511
C -1.480 4.137 -3.063
H -2.218 2.771 0.446
H -0.675 3.514 0.027
H -1.787 5.403 -0.800
H -3.331 4.681 -0.357
H -3.821 3.038 -3.524
H -4.480 3.294 -1.912
H -2.648 1.166 -2.765
H -3.343 1.380 -1.165
H -0.526 2.166 -3.293
H 0.258 3.201 -2.098
H -1.732 4.008 -4.118
H -0.884 5.048 -2.978
C -0.061 -7.205 1.750
C -1.284 -6.590 2.001
C -1.397 -5.212 1.966
C -0.292 -4.409 1.674
C 0.927 -5.037 1.435
C 1.046 -6.420 1.473
C -0.416 -2.925 1.646
C -1.482 -2.263 2.060
C -1.907 -0.987 2.410
C -1.558 -0.438 3.683
C -2.026 0.784 4.108
C -2.871 1.569 3.319
C -3.244 1.050 2.082
C -2.781 -0.172 1.629
H 0.025 -8.284 1.778
H -2.154 -7.194 2.229
H -2.340 -4.719 2.169
H 1.808 -4.435 1.250
H 2.009 -6.882 1.291
H 0.530 -2.479 1.259
H -0.923 -1.026 4.336
H -1.724 1.141 5.087
H -3.257 2.515 3.671
H -3.935 1.600 1.449
H -3.129 -0.536 0.667
N -3.384 -0.639 -4.912
C -2.970 -1.303 -3.776
C -1.661 -1.161 -3.287
N -1.277 -1.738 -2.166
C -2.176 -2.476 -1.504
C -3.466 -2.602 -1.990
N -3.869 -2.022 -3.119
H -2.682 -0.454 -5.610
H -4.261 -0.968 -5.283
H -0.934 -0.559 -3.824
H -1.870 -2.939 -0.574
H -4.196 -3.189 -1.447

---

Entry 2:
54
Properties=species:S:1:pos:R:3 method="wB97M-V/def2-TZVPD" smiles="CCn1c(C)nc2cc(C(=O)NNC(=O)CCC3CCCCC3)ccc21" energy_ha=-1148.4753
C 6.063 2.277 0.853
C 6.148 0.760 0.696
N 5.018 0.242 -0.029
C 4.918 0.007 -1.379
C 6.056 0.186 -2.312
N 3.736 -0.395 -1.741
C 2.982 -0.431 -0.597
C 1.652 -0.780 -0.413
C 1.141 -0.712 0.876
C -0.275 -1.010 1.186
O -0.871 -0.561 2.155
N -0.894 -1.892 0.356
N -2.273 -2.060 0.498
C -3.052 -2.136 -0.613
O -2.569 -2.363 -1.706
C -4.537 -2.028 -0.342
C -4.969 -0.785 0.445
C -4.777 0.545 -0.294
C -3.303 0.911 -0.478
C -3.151 2.265 -1.168
C -3.859 3.359 -0.378
C -5.333 3.009 -0.214
C -5.483 1.661 0.484
C 1.944 -0.293 1.950
C 3.267 0.050 1.785
C 3.781 -0.023 0.500
H 6.918 2.643 1.413
H 5.153 2.551 1.382
H 6.050 2.761 -0.121
H 7.062 0.486 0.164
H 6.168 0.285 1.682
H 6.877 -0.483 -2.051
H 5.716 -0.047 -3.316
H 6.423 1.211 -2.287
H 1.056 -1.055 -1.268
H -0.557 -2.155 -0.561
H -2.589 -1.647 1.369
H -5.042 -2.050 -1.308
H -4.833 -2.920 0.215
H -4.448 -0.738 1.404
H -6.034 -0.898 0.668
H -5.240 0.463 -1.284
H -2.806 0.157 -1.089
H -2.810 0.946 0.497
H -2.090 2.503 -1.270
H -3.578 2.208 -2.172
H -3.756 4.318 -0.891
H -3.396 3.453 0.607
H -5.841 3.783 0.366
H -5.806 2.964 -1.198
H -6.544 1.420 0.593
H -5.051 1.725 1.485
H 1.484 -0.243 2.925
H 3.870 0.367 2.624

---

Entry 3:
52
Properties=species:S:1:pos:R:3 method="wB97M-V/def2-TZVPD" total_charge=+1 energy_ha=-1225.7623 multiplicity=2 s_squared=0.754
C 0.468 -0.376 -1.391
O 0.914 -1.733 -1.347
C 0.050 0.070 -0.061
C -1.182 0.903 -0.047
C -1.629 1.069 1.476
O -1.857 -0.243 2.058
H 1.485 0.103 -1.694
H -0.097 -0.132 -2.312
H 0.707 -2.117 -0.467
H 0.801 0.767 0.375
H 0.224 -0.752 0.669
H -2.058 0.401 -0.473
H -0.985 1.839 -0.598
H -2.571 1.567 1.581
H -0.778 1.407 2.101
H -0.992 -0.665 2.118
H -1.002 3.264 -3.552
'''

(Job)
It remains to filter the entries earlier on: keep the lines with the word "smiles".

(Reply)
Properties=species:S:1:pos:R:3 method="wB97M-V/def2-TZVPD" smiles="CCn1c(C)nc2cc(C(=O)NNC(=O)CCC3CCCCC3)ccc21" energy_ha=-1148.4753